# Activity
Your job: find the line further below that holds "8.237 -7.400", then set down that line and all lines after it there.

# Entries
'''
A cluster of 17 separate species, C58H162N12O17 in total in a non-equilibrium geometry. Source: the OMol25 dataset; level of theory: ωB97M-V/def2-TZVPD.

Properties
Gap between HOMO and LUMO = 9.09 eV
E_HOMO = -9.0 eV
Calculated total energy = -4242.63343 hartree
2S+1 = 1
Net charge = 0

Last column: Löwdin charge in e.
Positions of all 249 atoms, in Å:
C 5.933 -7.140 0.678  -0.07
C 7.125 -8.038 1.025  -0.44
C 6.678 -9.312 1.818  -0.18
O 7.829 -10.031 2.306  -0.20
C 7.487 -11.222 3.023  -0.11
N 7.907 -8.304 -0.176  0.03
H 6.221 -6.159 0.301  0.07
H 5.226 -7.113 1.508  0.07
H 5.337 -7.608 -0.105  0.07
H 7.721 -7.418 1.695  0.13
H 6.061 -9.958 1.192  0.12
H 6.111 -8.945 2.673  0.12
H 6.720 -11.046 3.777  0.08
H 8.313 -11.605 3.623  0.08
H 7.196 -11.942 2.258  0.09
H 8.769 -8.797 0.006  0.07
H 8.237 -7.400 -0.482  0.06
C 5.692 -7.076 11.000  -0.05
C 4.498 -7.705 10.285  -0.48
C 4.656 -8.067 8.829  -0.21
O 4.738 -7.027 7.862  -0.16
C 3.613 -6.183 7.680  -0.11
N 4.046 -8.845 11.049  0.04
H 5.432 -6.719 11.996  0.08
H 5.991 -6.278 10.319  0.08
H 6.529 -7.751 11.175  0.08
H 3.701 -6.966 10.362  0.12
H 3.873 -8.760 8.519  0.12
H 5.500 -8.757 8.810  0.13
H 3.092 -5.920 8.601  0.07
H 2.863 -6.583 6.998  0.08
H 3.785 -5.177 7.296  0.08
H 4.825 -9.469 11.207  0.07
H 3.395 -9.365 10.477  0.06
C 3.095 7.201 -7.950  -0.07
C 1.714 6.889 -8.503  -0.42
C 1.642 5.762 -9.625  -0.20
O 2.184 6.205 -10.861  -0.20
C 2.284 5.179 -11.857  -0.10
N 0.974 6.458 -7.335  0.02
H 3.029 7.943 -7.154  0.08
H 3.769 7.601 -8.708  0.07
H 3.616 6.277 -7.698  0.08
H 1.280 7.756 -9.002  0.13
H 0.612 5.455 -9.811  0.12
H 2.211 4.922 -9.225  0.12
H 2.579 5.603 -12.817  0.09
H 1.285 4.756 -11.969  0.08
H 2.978 4.393 -11.559  0.08
H 0.178 5.897 -7.603  0.06
H 1.505 5.818 -6.761  0.07
C -4.242 10.309 -4.504  -0.07
C -3.381 10.425 -3.234  -0.41
C -3.581 9.185 -2.279  -0.17
O -4.939 9.097 -1.798  -0.20
C -5.257 9.968 -0.702  -0.12
N -1.942 10.469 -3.626  0.02
H -3.783 9.488 -5.055  0.07
H -3.985 11.135 -5.167  0.07
H -5.291 10.120 -4.277  0.08
H -3.711 11.350 -2.759  0.12
H -2.935 9.195 -1.401  0.12
H -3.361 8.303 -2.880  0.12
H -4.743 10.922 -0.579  0.08
H -5.145 9.443 0.247  0.08
H -6.292 10.309 -0.691  0.08
H -1.717 11.312 -4.135  0.06
H -1.838 9.714 -4.289  0.06
C -1.106 -9.939 -3.761  -0.08
C -1.208 -10.617 -2.395  -0.42
C -0.306 -9.861 -1.384  -0.21
O -0.309 -10.477 -0.115  -0.19
C 0.332 -9.701 0.828  -0.15
N -2.640 -10.627 -1.968  0.05
H -0.115 -9.982 -4.214  0.07
H -1.417 -8.897 -3.693  0.08
H -1.692 -10.548 -4.449  0.07
H -0.740 -11.601 -2.424  0.13
H -0.586 -8.810 -1.315  0.13
H 0.730 -9.988 -1.698  0.13
H 0.402 -10.180 1.805  0.09
H -0.170 -8.746 0.982  0.09
H 1.371 -9.503 0.564  0.08
H -2.672 -10.633 -0.958  0.06
H -2.946 -11.564 -2.189  0.06
C 8.126 -0.159 2.812  -0.07
C 8.014 1.018 1.815  -0.43
C 8.382 2.423 2.320  -0.21
O 7.500 2.875 3.321  -0.16
C 7.935 4.080 3.852  -0.14
N 8.918 0.735 0.721  0.02
H 7.900 -1.082 2.276  0.07
H 7.468 -0.131 3.680  0.07
H 9.105 -0.231 3.284  0.07
H 6.977 1.031 1.482  0.14
H 8.239 3.088 1.468  0.13
H 9.427 2.268 2.589  0.13
H 8.941 4.243 4.236  0.09
H 7.376 4.283 4.765  0.09
H 7.782 4.809 3.055  0.09
H 8.700 -0.134 0.256  0.07
H 9.868 0.582 1.027  0.07
C -6.930 3.895 3.108  -0.06
C -6.191 3.155 4.207  -0.42
C -7.140 2.451 5.197  -0.23
O -7.991 3.407 5.785  -0.18
C -9.256 2.874 6.169  -0.11
N -5.322 2.125 3.577  0.03
H -6.208 4.309 2.404  0.08
H -7.675 4.607 3.465  0.08
H -7.511 3.162 2.549  0.07
H -5.543 3.820 4.776  0.14
H -6.568 1.774 5.833  0.12
H -7.794 1.826 4.589  0.11
H -9.217 1.897 6.650  0.08
H -9.971 2.781 5.351  0.08
H -9.701 3.581 6.869  0.08
H -5.737 1.438 2.964  0.07
H -4.800 1.605 4.268  0.06
C -8.079 2.746 -2.952  -0.07
C -7.893 4.109 -3.633  -0.44
C -8.947 5.126 -3.182  -0.21
O -10.240 4.787 -3.664  -0.20
C -11.324 5.569 -3.053  -0.07
N -6.551 4.496 -3.357  0.02
H -9.064 2.346 -3.194  0.07
H -7.832 2.737 -1.891  0.08
H -7.386 2.003 -3.347  0.07
H -7.864 3.952 -4.711  0.13
H -8.704 6.141 -3.498  0.12
'''

# Written answer
H 8.237 -7.400 -0.482  0.06
C 5.692 -7.076 11.000  -0.05
C 4.498 -7.705 10.285  -0.48
C 4.656 -8.067 8.829  -0.21
O 4.738 -7.027 7.862  -0.16
C 3.613 -6.183 7.680  -0.11
N 4.046 -8.845 11.049  0.04
H 5.432 -6.719 11.996  0.08
H 5.991 -6.278 10.319  0.08
H 6.529 -7.751 11.175  0.08
H 3.701 -6.966 10.362  0.12
H 3.873 -8.760 8.519  0.12
H 5.500 -8.757 8.810  0.13
H 3.092 -5.920 8.601  0.07
H 2.863 -6.583 6.998  0.08
H 3.785 -5.177 7.296  0.08
H 4.825 -9.469 11.207  0.07
H 3.395 -9.365 10.477  0.06
C 3.095 7.201 -7.950  -0.07
C 1.714 6.889 -8.503  -0.42
C 1.642 5.762 -9.625  -0.20
O 2.184 6.205 -10.861  -0.20
C 2.284 5.179 -11.857  -0.10
N 0.974 6.458 -7.335  0.02
H 3.029 7.943 -7.154  0.08
H 3.769 7.601 -8.708  0.07
H 3.616 6.277 -7.698  0.08
H 1.280 7.756 -9.002  0.13
H 0.612 5.455 -9.811  0.12
H 2.211 4.922 -9.225  0.12
H 2.579 5.603 -12.817  0.09
H 1.285 4.756 -11.969  0.08
H 2.978 4.393 -11.559  0.08
H 0.178 5.897 -7.603  0.06
H 1.505 5.818 -6.761  0.07
C -4.242 10.309 -4.504  -0.07
C -3.381 10.425 -3.234  -0.41
C -3.581 9.185 -2.279  -0.17
O -4.939 9.097 -1.798  -0.20
C -5.257 9.968 -0.702  -0.12
N -1.942 10.469 -3.626  0.02
H -3.783 9.488 -5.055  0.07
H -3.985 11.135 -5.167  0.07
H -5.291 10.120 -4.277  0.08
H -3.711 11.350 -2.759  0.12
H -2.935 9.195 -1.401  0.12
H -3.361 8.303 -2.880  0.12
H -4.743 10.922 -0.579  0.08
H -5.145 9.443 0.247  0.08
H -6.292 10.309 -0.691  0.08
H -1.717 11.312 -4.135  0.06
H -1.838 9.714 -4.289  0.06
C -1.106 -9.939 -3.761  -0.08
C -1.208 -10.617 -2.395  -0.42
C -0.306 -9.861 -1.384  -0.21
O -0.309 -10.477 -0.115  -0.19
C 0.332 -9.701 0.828  -0.15
N -2.640 -10.627 -1.968  0.05
H -0.115 -9.982 -4.214  0.07
H -1.417 -8.897 -3.693  0.08
H -1.692 -10.548 -4.449  0.07
H -0.740 -11.601 -2.424  0.13
H -0.586 -8.810 -1.315  0.13
H 0.730 -9.988 -1.698  0.13
H 0.402 -10.180 1.805  0.09
H -0.170 -8.746 0.982  0.09
H 1.371 -9.503 0.564  0.08
H -2.672 -10.633 -0.958  0.06
H -2.946 -11.564 -2.189  0.06
C 8.126 -0.159 2.812  -0.07
C 8.014 1.018 1.815  -0.43
C 8.382 2.423 2.320  -0.21
O 7.500 2.875 3.321  -0.16
C 7.935 4.080 3.852  -0.14
N 8.918 0.735 0.721  0.02
H 7.900 -1.082 2.276  0.07
H 7.468 -0.131 3.680  0.07
H 9.105 -0.231 3.284  0.07
H 6.977 1.031 1.482  0.14
H 8.239 3.088 1.468  0.13
H 9.427 2.268 2.589  0.13
H 8.941 4.243 4.236  0.09
H 7.376 4.283 4.765  0.09
H 7.782 4.809 3.055  0.09
H 8.700 -0.134 0.256  0.07
H 9.868 0.582 1.027  0.07
C -6.930 3.895 3.108  -0.06
C -6.191 3.155 4.207  -0.42
C -7.140 2.451 5.197  -0.23
O -7.991 3.407 5.785  -0.18
C -9.256 2.874 6.169  -0.11
N -5.322 2.125 3.577  0.03
H -6.208 4.309 2.404  0.08
H -7.675 4.607 3.465  0.08
H -7.511 3.162 2.549  0.07
H -5.543 3.820 4.776  0.14
H -6.568 1.774 5.833  0.12
H -7.794 1.826 4.589  0.11
H -9.217 1.897 6.650  0.08
H -9.971 2.781 5.351  0.08
H -9.701 3.581 6.869  0.08
H -5.737 1.438 2.964  0.07
H -4.800 1.605 4.268  0.06
C -8.079 2.746 -2.952  -0.07
C -7.893 4.109 -3.633  -0.44
C -8.947 5.126 -3.182  -0.21
O -10.240 4.787 -3.664  -0.20
C -11.324 5.569 -3.053  -0.07
N -6.551 4.496 -3.357  0.02
H -9.064 2.346 -3.194  0.07
H -7.832 2.737 -1.891  0.08
H -7.386 2.003 -3.347  0.07
H -7.864 3.952 -4.711  0.13
H -8.704 6.141 -3.498  0.12